Your job: return the part of the data below that starts with the line with "Structure (XYZ):" and stops after the one with "-0.827".

'''
Here is a 11-piece molecular cluster, H22O11 overall from OMol25. Energies are from ωB97M-V/def2-TZVPD.

Structure (XYZ):
```
33
H22O11 | OMol25 | ωB97M-V/def2-TZVPD
O 2.971 -0.902 0.188
H 3.423 -0.182 -0.243
H 2.496 -0.475 0.881
O 1.158 -1.056 -2.116
H 1.992 -0.868 -1.664
H 0.846 -1.936 -1.746
O 1.919 0.814 2.092
H 1.257 1.175 2.628
H 1.909 1.423 1.325
O 0.137 0.390 -0.050
H 0.057 -0.204 0.710
H 0.371 -0.083 -0.827
O -0.511 -1.053 -4.379
H -0.082 -0.944 -3.548
H 0.055 -1.715 -4.747
O -0.385 -1.394 2.058
H -0.057 -1.471 2.952
H -0.354 -2.257 1.668
O -1.518 -1.735 -1.270
H -2.090 -1.699 -0.478
H -2.025 -1.339 -1.967
O 2.196 2.928 0.159
H 1.453 3.019 -0.423
H 1.988 3.564 0.868
O -2.187 0.860 -1.617
H -2.706 1.260 -0.941
H -1.376 0.693 -1.159
O -2.969 -1.136 2.473
H -3.399 -1.296 1.673
H -1.984 -1.212 2.218
O -1.124 2.525 1.704
H -0.841 2.191 2.564
H -0.618 2.113 1.014
'''

Structure (XYZ):
```
33
H22O11 | OMol25 | ωB97M-V/def2-TZVPD
O 2.971 -0.902 0.188
H 3.423 -0.182 -0.243
H 2.496 -0.475 0.881
O 1.158 -1.056 -2.116
H 1.992 -0.868 -1.664
H 0.846 -1.936 -1.746
O 1.919 0.814 2.092
H 1.257 1.175 2.628
H 1.909 1.423 1.325
O 0.137 0.390 -0.050
H 0.057 -0.204 0.710
H 0.371 -0.083 -0.827